To do:
The reader should copy every line underneath that contains the word "loop_".

Input:
## K2MnGaO4 (PBE with a Hubbard U)

Data for a geometry-optimized K2MnGaO4 structure.

Cell lengths 5.912, 5.913, 5.496 Å; angles 122.54, 122.54, 89.99 degrees
Site moments in Bohr magnetons follow the coordinates.
Atoms (fractional coordinates):
K 0.236 0.236 0.472  0.00
K 0.486 0.986 0.972  0.00
O 0.711 0.575 0.685  0.00
O 0.361 0.760 0.258  0.00
O 0.974 0.110 0.685  0.00
O 0.897 0.498 0.258  0.00
Ga 0.986 0.486 0.972  0.02
Mn 0.736 0.736 0.472  3.81

## Properties
E_tot = -45.9 eV for the cell shown
volume = 124.7 Å³/f.u.

* * * * *

[1]
DFT (PBE-GGA) results for a geometry-optimized Ho2TlPb5 structure.

Total magnetization (μB/atom): 0.000
Calculated formation energy (eV/atom): -0.26
Space-group type: No. 12

Cell: 6.915 6.915 6.859 Å, 120.70 120.70 88.91°
Positions (direct):
Tl  0.778  0.778  0.000
Pb  0.778  0.278  0.000
Pb  0.278  0.278  0.500
Ho  0.778  0.278  0.500
Pb  0.278  0.778  0.000
Ho  0.278  0.778  0.500
Pb  0.278  0.278  0.000
Pb  0.778  0.778  0.500

---

[2]
DFT (PBE-GGA) results for a geometry-optimized HoTlPb2 structure.

Total magnetization (μB/atom): 0.000
Calculated formation energy (eV/atom): -0.25
Space-group type: No. 123

Cell: 4.920 4.798 4.798 Å, 90.00 90.00 90.00°
Positions (direct):
Pb  0.000  0.500  0.000
Tl  0.500  0.000  0.000
Pb  0.000  0.000  0.500
Ho  0.500  0.500  0.500

* * * * *

A geometry-optimized LaCrO3 structure. Source: Alexandria, functional GGA+U.

Total magnetic moment (μB/f.u.): 3.0
Crystal system: trigonal
E_tot (eV/atom): -7.658

Structure (CIF):
```
data_LaCrO3
_chemical_formula_sum 'La3 Cr3 O9'
_symmetry_space_group_name_H-M 'R 3 m'
_symmetry_Int_Tables_number 160
_symmetry_space_group_name_Hall 'R 3 -2"'
_cell_length_a 6.4984
_cell_length_b 6.4984
_cell_length_c 8.9859
_cell_angle_alpha 90.00
_cell_angle_beta 90.00
_cell_angle_gamma 120.00
loop_
_atom_site_label
_atom_site_fract_x
_atom_site_fract_y
_atom_site_fract_z
_atom_site_occupancy
La1 0.0000 0.0000 0.0000 1
Cr1 0.0000 0.0000 0.6725 1
O1 0.0440 0.5220 0.4317 1
```

Reply:
loop_